Listing:
=====
# 1
! MnS5I (PBE, relaxed); values from VASP
&SYSTEM
  ibrav = 0, nat = 7, ntyp = 3
/
ATOMIC_SPECIES
Mn 54.94 Mn.upf
S 32.06 S.upf
I 126.90 I.upf
CELL_PARAMETERS angstrom
4.269 0.000 0.000
-0.787 7.430 0.000
-0.138 -2.893 7.051
ATOMIC_POSITIONS crystal
Mn 0.000 0.000 0.000
S 0.078 0.210 0.326
S 0.119 0.673 0.577
S 0.777 0.964 0.255
S 0.847 0.471 0.361
S 0.964 0.675 0.834
I 0.501 0.151 0.870
! Space group = P1
! Energy relative to the elements, uncorrected = -0.1174 eV/atom
! Total DFT energy (no corrections) = -4.597 eV/atom
! Magnetic moment = 4.00 μB per cell

# 2
! Be5Ru (PBE, relaxed); values from VASP
&SYSTEM
  ibrav = 0, nat = 6, ntyp = 2
/
ATOMIC_SPECIES
Be 9.01 Be.upf
Ru 101.07 Ru.upf
CELL_PARAMETERS angstrom
2.740 0.000 0.000
0.000 2.740 0.000
0.000 0.000 7.431
ATOMIC_POSITIONS crystal
Be 0.000 0.000 0.000
Be 0.000 0.000 0.322
Be 0.000 0.000 0.678
Be 0.500 0.500 0.162
Be 0.500 0.500 0.838
Ru 0.500 0.500 0.500
! Space group = P4/mmm
! Total DFT energy (no corrections) = -4.678 eV/atom
! Energy relative to the elements = -0.027 eV/atom
! Density of states at the Fermi level = 3.387 states/eV/cell
! Magnetic moment = 0.27 μB per cell
=====

Exercise:
Write out the lines further above up to the one that holds "0.162", that line included.

Outcome:
# 1
! MnS5I (PBE, relaxed); values from VASP
&SYSTEM
  ibrav = 0, nat = 7, ntyp = 3
/
ATOMIC_SPECIES
Mn 54.94 Mn.upf
S 32.06 S.upf
I 126.90 I.upf
CELL_PARAMETERS angstrom
4.269 0.000 0.000
-0.787 7.430 0.000
-0.138 -2.893 7.051
ATOMIC_POSITIONS crystal
Mn 0.000 0.000 0.000
S 0.078 0.210 0.326
S 0.119 0.673 0.577
S 0.777 0.964 0.255
S 0.847 0.471 0.361
S 0.964 0.675 0.834
I 0.501 0.151 0.870
! Space group = P1
! Energy relative to the elements, uncorrected = -0.1174 eV/atom
! Total DFT energy (no corrections) = -4.597 eV/atom
! Magnetic moment = 4.00 μB per cell

# 2
! Be5Ru (PBE, relaxed); values from VASP
&SYSTEM
  ibrav = 0, nat = 6, ntyp = 2
/
ATOMIC_SPECIES
Be 9.01 Be.upf
Ru 101.07 Ru.upf
CELL_PARAMETERS angstrom
2.740 0.000 0.000
0.000 2.740 0.000
0.000 0.000 7.431
ATOMIC_POSITIONS crystal
Be 0.000 0.000 0.000
Be 0.000 0.000 0.322
Be 0.000 0.000 0.678
Be 0.500 0.500 0.162